Assignment
Retype the block further down from the line with "_cell_angle_beta 120.71" to the end without additions, please.

Excerpt
=====
# 1
# SnNCl

A relaxed structure of SnNCl (GGA-PBE, Alexandria).

Results
Energy relative to the elements, uncorrected ... -0.136 eV per atom
Offset from the most stable computed form ... 0.41 eV/f.u.

Structure (CIF):
```
data_SnNCl
_chemical_formula_sum 'Sn4 N4 Cl4'
_cell_length_a 3.359
_cell_length_b 13.668
_cell_length_c 6.574
_cell_angle_alpha 90.00
_cell_angle_beta 120.71
_cell_angle_gamma 90.00
_space_group_name_H-M_alt 'P 1 21/c 1'
_space_group_IT_number 14
_space_group_name_Hall '-P 2ybc'
loop_
_atom_site_label
_atom_site_fract_x
_atom_site_fract_y
_atom_site_fract_z
Sn1 0.167 0.193 0.416
N1 0.129 0.719 0.880
Cl1 0.493 0.064 0.242
```

# 2
# Sn2NCl

A relaxed structure of Sn2NCl (GGA-PBE, Alexandria).

Results
D(E_F) ... 5.552 states/eV per cell
Energy relative to the elements, uncorrected ... 0.638 eV per atom
Offset from the most stable computed form ... 2.32 eV/f.u.

Structure (CIF):
```
data_Sn2NCl
_chemical_formula_sum 'Sn8 N4 Cl4'
_cell_length_a 6.828
_cell_length_b 6.828
_cell_length_c 6.828
_cell_angle_alpha 90.00
_cell_angle_beta 90.00
_cell_angle_gamma 90.00
_space_group_name_H-M_alt 'F m -3 m'
_space_group_IT_number 225
_space_group_name_Hall '-F 4 2 3'
loop_
_atom_site_label
_atom_site_fract_x
_atom_site_fract_y
_atom_site_fract_z
Sn1 0.250 0.250 0.250
N1 0.000 0.000 0.000
Cl1 0.000 0.000 0.500
```

~~~~~

No. 1
Below is a relaxed structure of RbAlSn2S6, with properties calculated at the GGA-PBE level.

Values from the calculation:
uncorrected formation energy	-0.61	eV/atom
magnetic moment	0.00	μB/f.u.
crystal system	monoclinic
calculated total energy	-87.09	eV/cell

Lattice parameters (Å, degrees): 9.876 9.876 7.362 106.63 106.63 94.38
Fractional positions:
Rb1 0.106 0.894 0.750
Rb2 0.894 0.106 0.250
Al1 0.221 0.779 0.250
Al2 0.779 0.221 0.750
Sn1 0.227 0.389 0.860
Sn2 0.389 0.227 0.360
Sn3 0.611 0.773 0.640
Sn4 0.773 0.611 0.140
S1 0.008 0.214 0.736
S2 0.214 0.008 0.236
S3 0.229 0.646 0.954
S4 0.290 0.407 0.561
S5 0.354 0.771 0.546
S6 0.407 0.290 0.061
S7 0.593 0.710 0.939
S8 0.646 0.229 0.454
S9 0.710 0.593 0.439
S10 0.771 0.354 0.046
S11 0.786 0.992 0.764
S12 0.992 0.786 0.264

No. 2
Below is a relaxed structure of RbSr2AlS4, with properties calculated at the GGA-PBE level.

Values from the calculation:
uncorrected formation energy	-1.36	eV/atom
magnetic moment	0.00	μB/f.u.
crystal system	orthorhombic
calculated total energy	-70.89	eV/cell

Lattice parameters (Å, degrees): 8.483 8.483 8.483 121.59 119.06 89.45
Fractional positions:
Rb1 0.500 0.000 0.000
Rb2 0.500 0.500 0.500
Sr1 0.000 0.000 0.000
Sr2 0.000 0.000 0.500
Sr3 0.000 0.500 0.000
Sr4 0.500 0.000 0.500
Al1 0.000 0.500 0.500
Al2 0.500 0.500 0.000
S1 0.173 0.688 0.485
S2 0.243 0.242 0.499
S3 0.243 0.744 0.001
S4 0.297 0.312 0.985
S5 0.703 0.688 0.015
S6 0.757 0.256 0.999
S7 0.757 0.758 0.501
S8 0.827 0.312 0.515

No. 3
Below is a relaxed structure of RbSrAlS3, with properties calculated at the GGA-PBE level.

Values from the calculation:
uncorrected formation energy	-1.29	eV/atom
magnetic moment	0.00	μB/f.u.
crystal system	monoclinic
calculated total energy	-53.08	eV/cell

Lattice parameters (Å, degrees): 8.333 8.333 8.909 104.14 104.14 33.98
Fractional positions:
Rb1 0.148 0.148 0.066
Rb2 0.852 0.852 0.934
Sr1 0.149 0.149 0.573
Sr2 0.851 0.851 0.427
Al1 0.493 0.493 0.719
Al2 0.507 0.507 0.281
S1 0.004 0.004 0.285
S2 0.346 0.346 0.651
S3 0.361 0.361 0.217
S4 0.639 0.639 0.783
S5 0.654 0.654 0.349
S6 0.996 0.996 0.715
=====

Written answer
_cell_angle_beta 120.71
_cell_angle_gamma 90.00
_space_group_name_H-M_alt 'P 1 21/c 1'
_space_group_IT_number 14
_space_group_name_Hall '-P 2ybc'
loop_
_atom_site_label
_atom_site_fract_x
_atom_site_fract_y
_atom_site_fract_z
Sn1 0.167 0.193 0.416
N1 0.129 0.719 0.880
Cl1 0.493 0.064 0.242
```

# 2
# Sn2NCl

A relaxed structure of Sn2NCl (GGA-PBE, Alexandria).

Results
D(E_F) ... 5.552 states/eV per cell
Energy relative to the elements, uncorrected ... 0.638 eV per atom
Offset from the most stable computed form ... 2.32 eV/f.u.

Structure (CIF):
```
data_Sn2NCl
_chemical_formula_sum 'Sn8 N4 Cl4'
_cell_length_a 6.828
_cell_length_b 6.828
_cell_length_c 6.828
_cell_angle_alpha 90.00
_cell_angle_beta 90.00
_cell_angle_gamma 90.00
_space_group_name_H-M_alt 'F m -3 m'
_space_group_IT_number 225
_space_group_name_Hall '-F 4 2 3'
loop_
_atom_site_label
_atom_site_fract_x
_atom_site_fract_y
_atom_site_fract_z
Sn1 0.250 0.250 0.250
N1 0.000 0.000 0.000
Cl1 0.000 0.000 0.500
```

~~~~~

No. 1
Below is a relaxed structure of RbAlSn2S6, with properties calculated at the GGA-PBE level.

Values from the calculation:
uncorrected formation energy	-0.61	eV/atom
magnetic moment	0.00	μB/f.u.
crystal system	monoclinic
calculated total energy	-87.09	eV/cell

Lattice parameters (Å, degrees): 9.876 9.876 7.362 106.63 106.63 94.38
Fractional positions:
Rb1 0.106 0.894 0.750
Rb2 0.894 0.106 0.250
Al1 0.221 0.779 0.250
Al2 0.779 0.221 0.750
Sn1 0.227 0.389 0.860
Sn2 0.389 0.227 0.360
Sn3 0.611 0.773 0.640
Sn4 0.773 0.611 0.140
S1 0.008 0.214 0.736
S2 0.214 0.008 0.236
S3 0.229 0.646 0.954
S4 0.290 0.407 0.561
S5 0.354 0.771 0.546
S6 0.407 0.290 0.061
S7 0.593 0.710 0.939
S8 0.646 0.229 0.454
S9 0.710 0.593 0.439
S10 0.771 0.354 0.046
S11 0.786 0.992 0.764
S12 0.992 0.786 0.264

No. 2
Below is a relaxed structure of RbSr2AlS4, with properties calculated at the GGA-PBE level.

Values from the calculation:
uncorrected formation energy	-1.36	eV/atom
magnetic moment	0.00	μB/f.u.
crystal system	orthorhombic
calculated total energy	-70.89	eV/cell

Lattice parameters (Å, degrees): 8.483 8.483 8.483 121.59 119.06 89.45
Fractional positions:
Rb1 0.500 0.000 0.000
Rb2 0.500 0.500 0.500
Sr1 0.000 0.000 0.000
Sr2 0.000 0.000 0.500
Sr3 0.000 0.500 0.000
Sr4 0.500 0.000 0.500
Al1 0.000 0.500 0.500
Al2 0.500 0.500 0.000
S1 0.173 0.688 0.485
S2 0.243 0.242 0.499
S3 0.243 0.744 0.001
S4 0.297 0.312 0.985
S5 0.703 0.688 0.015
S6 0.757 0.256 0.999
S7 0.757 0.758 0.501
S8 0.827 0.312 0.515

No. 3
Below is a relaxed structure of RbSrAlS3, with properties calculated at the GGA-PBE level.

Values from the calculation:
uncorrected formation energy	-1.29	eV/atom
magnetic moment	0.00	μB/f.u.
crystal system	monoclinic
calculated total energy	-53.08	eV/cell

Lattice parameters (Å, degrees): 8.333 8.333 8.909 104.14 104.14 33.98
Fractional positions:
Rb1 0.148 0.148 0.066
Rb2 0.852 0.852 0.934
Sr1 0.149 0.149 0.573
Sr2 0.851 0.851 0.427
Al1 0.493 0.493 0.719
Al2 0.507 0.507 0.281
S1 0.004 0.004 0.285
S2 0.346 0.346 0.651
S3 0.361 0.361 0.217
S4 0.639 0.639 0.783
S5 0.654 0.654 0.349
S6 0.996 0.996 0.715